Every Man Ministries: Male Strength Under Attack

 Male strength is under assault in today's culture. Strength without character is in the news everyday and it makes men appear appear just dangerous. But what does strength with character look like and would the world welcome it? We need strong men but the right kind of strong men - men who are strong and good.

Dangerous Good: The Coming Revolution of Men Who Care


Jesus Has Suffered Enough Says Ignite LA Men’s Conference Speaker

LOS ANGELES — Jesus has suffered enough said Every Man Ministries founder Kenny Luck, who will be speaking at Ignite LA, a two-day men’s conference at Desert Reign Church in Downey beginning this Friday (March 9) at 5 pm.Luck's words come from the perspective of witnessing to a broken male culture.“Jesus has suffered enough,” he said recently at a men’s study (VIDEO BELOW) held at Crossline Community Church in Laguna Hills where he is also a pastor. “Don’t grieve the spirit of Christ through personal choices to sin by giving yourself self-rationalized permission to put the pause button on your relationship with God.”His admonition comes at a time when the subject of “broken men” has surfaced more frequently in mainstream media as the root of serious problems in the U.S., including mass shootings.In a recent New York Times op-ed piece, The Boys Are Not All Right, Michael Ian Black writes that “...the man who feels lost but wishes to preserve his fully masculine self has only two choices: withdrawal or rage. We’ve seen what withdrawal and rage have the potential to do. School shootings are only the most public of tragedies. Others, on a smaller scale, take place across the country daily; another commonality among shooters is a history of abuse toward women.”KEEPING THE MAIN THING THE MAIN THINGLuck, who has authored and co-authored more than 20 books for men, has been addressing “broken male culture” for the past three decades.Ignite LA - Jesus Has Suffered Enough “My prayer for all that live in LA and Orange counties and wherever you live is that people would recognize large communities of men for one thing: they recognize them for having been with Jesus. That they become sources of life and it’s a noteworthy miracle, and that would be a witness for God that would create so much salvation in a city and so much life,” Luck said.“Knowing the Lord is the main thing of life. The only thing left for us to do is to declare surrender,” Luck adds. “I’m not surrendering to anybody, but I’ll surrender to Christ.”On Friday, the conference opens for check-in and coffee at 5 pm, and Session 1 from 7-9 pm. Saturday’s schedule includes a 7 am check-in, Session 2 at 9-11 am, lunch, and Session 3 from 12 to 2 pm.For registration and more information go to the conference website: ignitela.net.IGNITE LA MEN'S CONFERENCE MARCH 9-10REGISTER NOW!

The Harvey Weinsteins and Broken Male Culture Can No Longer Hide

Discussions about Harvey Weinstein, the #MeToo campaign, and all points inbetween continue to demonstrate the ripple effect well after it was revealed that one of Hollywood’s most powerful men abused women as part of a hideous routine that was kept secret.The waves of revelations coming from not only the Hollywood entertainment business, but other industries as well are of tsunami proportions leading one to believe that the Weinsteins of the world can no longer hide.“The Lord has allowed Weinstein's perversion to be revealed, because He wants to do something dramatic," writes Reverend David Kubal, who is the President and CEO of Intercessors for America (IFA). “He has shifted the intercessory battle from the special forces to the Church at large, calling us all to pray..."Pastor and Every Man Ministries founder Kenny Luck took the opportunity of the Weinstein reveal and aftershocks to share (WATCH VIDEO BELOW) that his ministry has already been on mission to reverse the cycle of immature, unhealthy men through the power of the gospel and the example of Jesus Christ.“Broken male culture has lost its ability to do one thing — hide,” Luck said. “That means other-centered and healthy masculine expression should make itself known and be appreciated.”Harvey Weinstein and Broken Male CultureSetting the current Hollywood-centric news aside, he said he began his ministry as the result of witnessing a growing broken male culture (in the U.S. and worldwide) that was inflicting much pain among women.“It was back in 2000, because of issues like this, it was less widely publicized, but it was the treatment of women that got me to start Every Man Ministries,” Luck said. “I call out broken male culture but I don’t stop there.”He said he wants to “reach men with the message of hope and identity that would help them transform from being in a broken male culture to a healthy male culture.” In an effort to break male stereotypes, Luck said he wants to let people know that there are millions of men who want to do what’s right in God’s eyes and be “dangerous good just like Jesus was.”TLA AD Every Man Show bannerKubal and others make the easy claim that: “Prophetic intercessors and Hollywood insiders have known about the power and perversion at the top of many entertainment companies for decades, yet this perversion has been hidden.”“There is obvious demonic activity in a man who has a three-decade reputation for perversion and power. We don't have to wonder about this one,” Kubal writes. “In the second most powerful town on the globe – second to Washington D.C. – the stakes are high for our enemy to do what he can to enslave and destroy. I am writing about Hollywood, because there is a significant connection in the spiritual realm between the two most powerful cities in the world. A purified Hollywood would dramatically affect Washington, DC.”He adds, “Many strategic warfare missions have gone into Hollywood to fight these powers of darkness and pray for the love of Jesus to invade Tinseltown. Many great ministries focus on praying for Hollywood (check out my good friends at http://hollywoodprayernetwork.org/).”Kubal asks for prayer for the following:1. Pray for purity. ‘Blessed are the pure in heart, for they will see God.’ (Matthew 5:8) So many in Hollywood are chasing fame and fortune to fill the ‘God hole’ in their hearts, which ultimately leads to despair. Perversion leads to deeper levels of perversion, while purity leads to higher levels of fulfillment.2. Pray for boldness. ‘What, then, shall we say in response to these things? If God is for us, who can be against us?’ (Romans 8:31) Now is the time for the Church to pray for those who know the dark secrets to come forward without fear of losing work or their fame.3. Pray for salvation. ‘Salvation is found in no one else, for there is no other name under heaven given to mankind by which we must be saved.’ (Acts 4:12) We must pray for the salvation of movie executives that God would save their souls and that they would have dramatically impact Hollywood.”

Every Man Ministries Founder Kenny Luck On Weinstein and Broken Male Culture

Data records that have nothing to do with the entry >
<<<
61
Properties=species:S:1:pos:R:3:lowdin_charge:R:1 method="wB97M-V/def2-TZVPD" total_charge=0 spin_multiplicity=1 energy_ev=-115379.015 homo_ev=-5.52
C 6.3476 -3.1690 -0.3039 -0.0732
N 5.9010 -2.4780 -1.5208 -0.2299
C 6.3264 -3.1686 -2.7453 -0.0755
C 4.6216 -1.8357 -1.5118 -0.2214
C 4.4807 -0.4347 -1.5317 0.0125
C 3.2406 0.1449 -1.5231 -0.0052
C 2.0702 -0.6399 -1.5029 -0.2090
C 0.7909 -0.0196 -1.4752 0.0292
C -0.4167 -0.6827 -1.5490 -0.0667
C -1.6298 -0.0340 -1.4482 0.0298
C -2.9117 -0.6506 -1.4902 -0.2090
C -4.0763 0.1428 -1.5171 -0.0086
C -5.3217 -0.4245 -1.5474 0.0088
C -5.4751 -1.8241 -1.5393 -0.2239
N -6.7636 -2.4498 -1.5418 -0.2307
C -7.2203 -3.1271 -2.7623 -0.0748
C -7.2268 -3.1108 -0.3149 -0.0734
C -4.3171 -2.6168 -1.5107 -0.0029
C -3.0746 -2.0496 -1.4905 -0.0093
C 2.2210 -2.0403 -1.4850 -0.0082
C 3.4573 -2.6179 -1.4861 -0.0022
H 5.9406 -2.6729 0.5756 0.0904
H 6.0068 -4.2029 -0.3051 0.0741
H 7.4333 -3.1606 -0.2382 0.0818
H 5.9060 -2.6699 -3.6171 0.0877
H 7.4109 -3.1633 -2.8287 0.0815
H 5.9818 -4.2013 -2.7398 0.0742
H 5.3614 0.1830 -1.5506 0.1174
H 3.1357 1.2165 -1.5391 0.1191
H 0.7588 1.0510 -1.3769 0.1212
H -0.4112 -1.7407 -1.7269 0.0912
H -1.5988 1.0321 -1.3115 0.1270
H -3.9659 1.2136 -1.5222 0.1188
H -6.1984 0.1992 -1.5754 0.1165
H -6.7630 -2.6656 -3.6358 0.0875
H -6.9413 -4.1790 -2.7422 0.0739
H -8.3017 -3.0553 -2.8554 0.0809
H -6.7709 -2.6390 0.5538 0.0897
H -8.3083 -3.0348 -0.2262 0.0813
H -6.9498 -4.1634 -0.3203 0.0741
H -4.4314 -3.6867 -1.4934 0.1191
H -2.2083 -2.6821 -1.4475 0.1051
H 1.3510 -2.6681 -1.4469 0.1046
H 3.5611 -3.6882 -1.4587 0.1190
Br 2.7371 1.8882 3.2835 0.6080
C 1.5224 2.6962 2.1170 -0.7887
S 0.0590 3.4576 2.7978 0.6351
C 0.7365 4.7701 3.8135 -0.3191
C 0.9832 4.5478 5.1468 -0.0837
C 1.4781 5.5652 5.9374 -0.0764
C 1.7225 6.8042 5.3802 -0.0913
C 1.4846 7.0244 4.0385 -0.0790
C 0.9899 6.0004 3.2566 -0.0674
O -0.6347 4.1217 1.6386 -0.3999
O -0.5739 2.4649 3.7402 -0.4002
H 1.5181 2.3799 1.0995 -0.0523
H 0.7633 3.5812 5.5677 0.1058
H 1.6576 5.3997 6.9888 0.1039
H 2.0934 7.6058 5.9972 0.0993
H 1.6681 7.9973 3.6086 0.1026
H 0.7730 6.1598 2.2139 0.1107

76
Properties=species:S:1:pos:R:3:lowdin_charge:R:1 method="wB97M-V/def2-TZVPD" total_charge=+1 spin_multiplicity=1 energy_ev=-146275.951 relative_energy_kj_mol=215.9 homo_ev=-10.80
Ti -0.9544 0.1012 -0.2958 0.8077
C 3.3569 0.1813 -0.5841 -0.2199
P 1.6486 0.8310 -0.7718 0.9449
C 1.6361 1.2247 -2.5893 -0.2178
C 1.8725 2.5540 -0.1784 -0.3679
C 3.0712 3.0587 0.3146 -0.0696
C 3.1888 4.3992 0.6476 -0.0513
C 2.1195 5.2593 0.4571 -0.0531
C 0.9161 4.7653 -0.0176 -0.0781
C 0.7745 3.4111 -0.3049 -0.3667
P -0.8362 2.7000 -0.8105 0.9193
C -1.9414 3.5190 0.4114 -0.2138
C -1.2270 3.6689 -2.3200 -0.2046
H 4.0509 0.8068 -1.1440 0.0666
H 3.3829 -0.8249 -0.9889 0.0384
H 3.6315 0.1497 0.4687 0.0364
H 2.0971 2.1935 -2.7730 0.0645
H 0.6112 1.2181 -2.9628 0.0273
H 2.1896 0.4473 -3.1098 0.0493
H 3.9326 2.4192 0.4396 0.0958
H 4.1220 4.7760 1.0426 0.1151
H 2.2191 6.3120 0.6818 0.1155
>>>

Kenny Vlog #3 from Every Man Ministries on Vimeo.

The Casting Couch, Harvey Weinstein, and How to Navigate Inside Hollywood